In 2012, a novel titled The Taliban Cricket Club, by the writer Timeri N Murari, was published worldwide. Set in Kabul, its main protagonist was Rukhsana, a young journalist who chafed at the restrictions placed by the Taliban regime on Afghan women. Fired from her job at the fictional Kabul Daily, Rukhsana uses a pseudonym to file news stories for an Indian newspaper on life under Taliban rule.
Eventually, she employs her unique skillset — knowledge of cricket — to outwit the Taliban’s attempt at complete control. Rukhsana coaches her brother and male cousins in order for them to win a government-organised cricket tournament. In this way, she is able to secretly challenge the Taliban’s stark injunction as described in the book: “Women must be seen only in the home and in the grave”. She makes her mark as an educated Afghan woman and “a good off-spinner”.
The Taliban Cricket Club is not a great literary work, but it does accomplish something few other books on Afghan women had managed until then. It makes the dreadful reality of Taliban rule easier to imagine and comprehend. Humans, as the philosopher Yuval Noah Harari says, “think in stories”.
Events in recent days suggest that Rukhsana’s resistance to the severe constraints imposed by the Taliban are becoming relevant once again. The US is talking to the Taliban about withdrawing troops. Intra-Afghan talks have been held in Doha, jointly organised by Qatar and Germany. Recently, the Taliban delegation indicated a new willingness to acknowledge women’s rights. The Taliban representatives were in the same room as Afghan women who weren’t related to them. They talked to the women and ate with them.
All of this has fed a new hopeful sense of coming change in Afghanistan. A new narrative is said to be taking shape, with the conflict-scarred country moving forward towards a brighter future, which is to be based on an intra-Afghan consensus. The US administration, which is understood to want a deal with the Taliban by September, has already been talking up the real and symbolic importance of what is under way.
Zalmay Khalilzad, US President Donald Trump’s special envoy for Afghanistan reconciliation, has denied the US wants to cut and run, abruptly ending the 18-year war it has prosecuted there. Instead, he insists, “We would like to leave a very positive legacy here”. And Alice Wells, acting US assistant secretary of state for South and Central Asia, has warned that Afghanistan’s future relationship with the US will “depend heavily” on preserving the gains made by women. “No current or future Afghan government should count on international donor support if that government restricts, represses or relegates Afghan women to second-class status,” she said.
The Americans may withdraw anyway, pronouncing themselves satisfied that Afghanistan is at peace
What comes next are records of molecules, not part of the article >
=====
This record from the OMol25 dataset describes a 34-piece molecular cluster, H68O34 overall in a non-equilibrium geometry. The level of theory is wB97M-V/def2-TZVPD.

**Energy relative to the best compared isomer or geometry (same formula, charge and spin)**: 92.6 kcal/mol
**HOMO**: -9.665 eV
**Kohn-Sham gap**: 8.76 eV
**Max |F|**: 1.3 eV/A
**Lowest unoccupied orbital energy**: -0.033 Ha

The geometry in ORCA input format:
```
! wB97M-V def2-TZVPD RIJCOSX def2/J DEFGRID3
* xyz 0 1
O 2.0951 2.3891 2.7277
H 1.9174 2.7150 3.6100
H 2.6872 3.0377 2.3470
O 2.1759 -3.6787 -2.8440
H 1.5377 -4.2705 -2.4457
H 2.1130 -2.8752 -2.3277
O 2.6034 -1.4501 -0.8190
H 3.3619 -1.1514 -0.3173
H 2.3221 -0.6787 -1.3109
O -3.2919 3.6193 -3.6543
H -2.5348 3.2828 -3.1749
H -2.9546 4.3748 -4.1357
O -0.4237 -0.2181 -0.3255
H -0.2771 0.2014 0.5223
H 0.2216 -0.9242 -0.3587
O 1.5326 -3.1673 1.0923
H 1.3039 -3.9460 0.5848
H 1.8603 -2.5452 0.4428
O 0.9185 -3.3484 -5.3962
H 0.5702 -2.4726 -5.5635
H 1.3412 -3.2790 -4.5402
O 3.0818 3.5524 -0.7048
H 3.3329 3.0116 -1.4536
H 3.7712 3.4019 -0.0581
O 3.4427 -0.8253 3.8937
H 3.4290 -0.2666 3.1166
H 4.3727 -0.9484 4.0843
O -2.9204 -2.4299 0.7022
H -2.4421 -2.2223 1.5049
H -2.5002 -3.2236 0.3709
O -0.9930 3.7109 4.6524
H -1.6261 4.2203 5.1583
H -1.4740 2.9277 4.3849
O -1.0164 -0.2649 -3.4400
H -1.2400 -0.9333 -4.0877
H -0.7629 0.4977 -3.9600
O 0.0993 0.8699 2.1734
H -0.4385 0.6431 2.9320
H 0.7314 1.5058 2.5087
O 1.1091 -2.0780 3.6213
H 2.0233 -1.8421 3.7789
H 1.1273 -2.5773 2.8049
O 4.8309 -1.0579 -3.1274
H 4.1281 -1.5480 -2.7007
H 4.4681 -0.8094 -3.9777
O -5.3483 0.8812 -1.5578
H -4.6974 0.2137 -1.7744
H -5.9618 0.8654 -2.2924
O -5.3600 -2.7470 -1.0037
H -4.6675 -2.2096 -0.6192
H -5.3077 -2.5700 -1.9430
O -1.4000 5.3141 -1.0639
H -0.6192 4.7632 -1.1187
H -1.6396 5.2993 -0.1373
O -1.4828 -4.8043 0.4293
H -1.6713 -4.8147 1.3677
H -1.9196 -5.5847 0.0881
O -0.7873 0.6930 5.3308
H 0.0298 0.4533 5.7679
H -1.1565 -0.1403 5.0383
O 4.4999 -4.2378 2.0032
H 4.0240 -5.0600 1.8860
H 3.8603 -3.5580 1.7914
O 0.6990 -4.9327 -0.9073
H -0.1477 -4.6140 -0.5946
H 0.8037 -5.7868 -0.4880
O 0.4765 3.2321 0.0087
H 1.4135 3.4278 0.0076
H 0.3409 2.7121 0.8008
O 1.6228 0.7860 -2.0680
H 0.6930 0.5587 -2.0636
H 1.6372 1.7394 -1.9842
O -4.1716 2.9677 -0.3594
H -3.3735 2.9743 -0.8878
H -4.7322 2.3154 -0.7795
O -2.0903 4.2247 1.6801
H -2.7494 4.8590 1.9622
H -2.2604 3.4485 2.2138
O 4.8343 -0.3972 0.3035
H 5.0104 0.5389 0.3984
H 5.5361 -0.8243 0.7947
O -3.0846 -0.8856 -1.6000
H -2.9156 -1.0097 -0.6661
H -2.2317 -0.6580 -1.9701
O -3.5859 2.3864 3.7150
H -3.7851 1.6226 3.1736
H -4.3824 2.9164 3.6845
O 2.9358 0.1353 -4.6876
H 2.3248 0.6495 -4.1598
H 3.5414 0.7813 -5.0512
O 4.3668 1.4634 -2.1995
H 3.6169 1.0670 -2.6431
H 4.9355 0.7246 -1.9828
O -4.0463 0.5272 1.5948
H -3.3433 -0.0902 1.7967
H -3.7263 1.0157 0.8364
O -1.5414 -1.6854 2.7660
H -0.5940 -1.6089 2.8787
H -1.8928 -1.6483 3.6556
O -1.5398 2.1219 -2.0274
H -1.5896 1.2418 -2.4004
H -1.0143 2.0171 -1.2343
*
```

=====
=====
This is tough talk but the Americans may withdraw anyway, pronouncing themselves satisfied that Afghanistan is at peace. That may mean an unenforceable agreement with the Taliban both with respect to power sharing and gender rights.
Many difficulties lie ahead.
First, there are the discrepancies in various translations of the declaration agreed in Doha. The Pashtu version, the only one likely to be read by the majority of the Taliban’s supporters, reportedly had no mention of protecting women’s rights. Was this mendacity or merely a mistake? Is the Taliban pretending it will safeguard women’s rights while reassuring its core constituency there will be no compromise on ideological positions with respect to gender?
Second, consider the Associated Press report on an exchange from the Doha conference. It might have been either playful or ominous, depending on who you ask. The news agency quoted Asila Wardack, a female member of the Afghan peace council. She said two of the Taliban approached her and other female conference participants. The Taliban said they had heard a group of “ dangerous women “ were going to be at the meeting. One of the men added: “Please don’t give us a hard time.”
What could that possibly mean? Was it a jocular way for the Taliban to acknowledge women had a right to be angry? Is the Taliban now willing to accept their five years in power, from 1996, were horrific for women, who were barred from schools, colleges, offices and from any public presence except as veiled figures? Or did those two Taliban men speak in that way to Ms Wardak and other women because they honestly believe the female sex comprises harridans and termagants?
Finally, consider the “roadmap to peace” agreed between the Taliban and Afghan government representatives in Doha. The Taliban insisted the government representatives attend in a personal capacity, which means the roadmap doesn’t really have any official sanction. And the promised protections for women’s rights are to be within the vague and unspecified parameters of an “Islamic framework”. The Taliban could quite easily define the “framework” in terms of their past misogyny. There are bound to be theological differences about Islam’s view of women’s rights. The Taliban do not have political positions so much as religious ones. Political positions allow for compromise; moral ones do not.